Given.
~~~
[1]
! ZrIn2, relaxed, DFT r²SCAN; values from VASP
&SYSTEM
  ibrav = 0, nat = 12, ntyp = 2
/
ATOMIC_SPECIES
In 114.82 In.upf
Zr 91.22 Zr.upf
CELL_PARAMETERS angstrom
4.356 0.000 -0.693
-0.110 4.355 -0.693
-0.002 -0.002 14.035
ATOMIC_POSITIONS crystal
In 0.626 0.376 0.751
In 0.374 0.624 0.249
Zr 0.702 0.952 0.904
In 0.876 0.126 0.251
In 0.213 0.463 0.926
In 0.124 0.874 0.749
Zr 0.298 0.048 0.096
Zr 0.548 0.798 0.596
In 0.787 0.537 0.074
Zr 0.452 0.202 0.404
In 0.037 0.287 0.574
In 0.963 0.713 0.426
! **Crystal system**: tetragonal
! **Formation energy from the elements**: -0.3983 eV/atom

[2]
! La3Ir, relaxed, DFT r²SCAN; values from VASP
&SYSTEM
  ibrav = 0, nat = 16, ntyp = 2
/
ATOMIC_SPECIES
La 138.91 La.upf
Ir 192.22 Ir.upf
CELL_PARAMETERS angstrom
-0.264 -3.193 5.914
-1.080 -6.413 -3.511
10.125 -1.507 -0.361
ATOMIC_POSITIONS crystal
La 0.148 0.451 0.750
La 0.325 0.660 0.069
Ir 0.065 0.875 0.250
La 0.648 0.049 0.250
La 0.352 0.951 0.750
La 0.825 0.840 0.931
Ir 0.565 0.625 0.750
La 0.825 0.840 0.569
La 0.675 0.340 0.931
La 0.175 0.160 0.431
La 0.852 0.549 0.250
Ir 0.935 0.125 0.750
Ir 0.435 0.375 0.250
La 0.325 0.660 0.431
La 0.175 0.160 0.069
La 0.675 0.340 0.569
! **Crystal system**: orthorhombic
! **Formation energy from the elements**: -0.5582 eV/atom

[3]
! La2Ir7, relaxed, DFT r²SCAN; values from VASP
&SYSTEM
  ibrav = 0, nat = 36, ntyp = 2
/
ATOMIC_SPECIES
Ir 192.22 Ir.upf
La 138.91 La.upf
CELL_PARAMETERS angstrom
2.688 -4.656 0.000
2.688 4.656 0.000
0.000 0.000 26.388
ATOMIC_POSITIONS crystal
Ir 0.670 0.835 0.913
Ir 0.165 0.330 0.587
Ir 0.000 0.000 0.832
Ir 0.330 0.165 0.413
Ir 0.000 0.000 0.500
Ir 0.333 0.667 0.666
La 0.667 0.333 0.674
Ir 0.336 0.168 0.250
Ir 0.165 0.330 0.913
La 0.333 0.667 0.326
Ir 0.168 0.832 0.750
Ir 0.165 0.835 0.913
La 0.333 0.667 0.029
La 0.667 0.333 0.971
Ir 0.835 0.670 0.413
Ir 0.333 0.667 0.834
Ir 0.000 0.000 0.000
Ir 0.832 0.664 0.250
Ir 0.664 0.832 0.750
Ir 0.835 0.165 0.413
Ir 0.000 0.000 0.332
Ir 0.330 0.165 0.087
La 0.667 0.333 0.826
Ir 0.835 0.165 0.087
La 0.333 0.667 0.471
Ir 0.670 0.835 0.587
Ir 0.165 0.835 0.587
Ir 0.832 0.168 0.250
Ir 0.000 0.000 0.668
La 0.667 0.333 0.529
Ir 0.835 0.670 0.087
Ir 0.667 0.333 0.334
La 0.333 0.667 0.174
Ir 0.667 0.333 0.166
Ir 0.000 0.000 0.168
Ir 0.168 0.336 0.750
! **Crystal system**: hexagonal
! **Formation energy from the elements**: -0.5286 eV/atom

[4]
! La3Ir2, relaxed, DFT r²SCAN; values from VASP
&SYSTEM
  ibrav = 0, nat = 15, ntyp = 2
/
ATOMIC_SPECIES
La 138.91 La.upf
Ir 192.22 Ir.upf
CELL_PARAMETERS angstrom
0.891 0.706 7.693
3.874 -6.122 2.827
7.324 2.001 1.683
ATOMIC_POSITIONS crystal
La 0.605 0.848 0.327
Ir 0.047 0.411 0.828
Ir 0.589 0.172 0.953
La 0.197 0.197 0.197
La 0.803 0.803 0.803
La 0.673 0.395 0.152
La 0.395 0.152 0.673
La 0.848 0.327 0.605
Ir 0.828 0.047 0.411
La 0.000 0.000 0.000
Ir 0.411 0.828 0.047
Ir 0.953 0.589 0.172
Ir 0.172 0.953 0.589
La 0.327 0.605 0.848
La 0.152 0.673 0.395
! **Crystal system**: trigonal
! **Formation energy from the elements**: -0.7684 eV/atom

| no. | energy (eV/atom) |
| --- | --- |
| 1 | -23.034 |
| 2 | -35.957 |
| 3 | -47.862 |
| 4 | -39.559 |
~~~

Activity.
Copy all of the calculation results above without altering anything, please.

Outcome.
[1]
! ZrIn2, relaxed, DFT r²SCAN; values from VASP
&SYSTEM
  ibrav = 0, nat = 12, ntyp = 2
/
ATOMIC_SPECIES
In 114.82 In.upf
Zr 91.22 Zr.upf
CELL_PARAMETERS angstrom
4.356 0.000 -0.693
-0.110 4.355 -0.693
-0.002 -0.002 14.035
ATOMIC_POSITIONS crystal
In 0.626 0.376 0.751
In 0.374 0.624 0.249
Zr 0.702 0.952 0.904
In 0.876 0.126 0.251
In 0.213 0.463 0.926
In 0.124 0.874 0.749
Zr 0.298 0.048 0.096
Zr 0.548 0.798 0.596
In 0.787 0.537 0.074
Zr 0.452 0.202 0.404
In 0.037 0.287 0.574
In 0.963 0.713 0.426
! **Crystal system**: tetragonal
! **Formation energy from the elements**: -0.3983 eV/atom

[2]
! La3Ir, relaxed, DFT r²SCAN; values from VASP
&SYSTEM
  ibrav = 0, nat = 16, ntyp = 2
/
ATOMIC_SPECIES
La 138.91 La.upf
Ir 192.22 Ir.upf
CELL_PARAMETERS angstrom
-0.264 -3.193 5.914
-1.080 -6.413 -3.511
10.125 -1.507 -0.361
ATOMIC_POSITIONS crystal
La 0.148 0.451 0.750
La 0.325 0.660 0.069
Ir 0.065 0.875 0.250
La 0.648 0.049 0.250
La 0.352 0.951 0.750
La 0.825 0.840 0.931
Ir 0.565 0.625 0.750
La 0.825 0.840 0.569
La 0.675 0.340 0.931
La 0.175 0.160 0.431
La 0.852 0.549 0.250
Ir 0.935 0.125 0.750
Ir 0.435 0.375 0.250
La 0.325 0.660 0.431
La 0.175 0.160 0.069
La 0.675 0.340 0.569
! **Crystal system**: orthorhombic
! **Formation energy from the elements**: -0.5582 eV/atom

[3]
! La2Ir7, relaxed, DFT r²SCAN; values from VASP
&SYSTEM
  ibrav = 0, nat = 36, ntyp = 2
/
ATOMIC_SPECIES
Ir 192.22 Ir.upf
La 138.91 La.upf
CELL_PARAMETERS angstrom
2.688 -4.656 0.000
2.688 4.656 0.000
0.000 0.000 26.388
ATOMIC_POSITIONS crystal
Ir 0.670 0.835 0.913
Ir 0.165 0.330 0.587
Ir 0.000 0.000 0.832
Ir 0.330 0.165 0.413
Ir 0.000 0.000 0.500
Ir 0.333 0.667 0.666
La 0.667 0.333 0.674
Ir 0.336 0.168 0.250
Ir 0.165 0.330 0.913
La 0.333 0.667 0.326
Ir 0.168 0.832 0.750
Ir 0.165 0.835 0.913
La 0.333 0.667 0.029
La 0.667 0.333 0.971
Ir 0.835 0.670 0.413
Ir 0.333 0.667 0.834
Ir 0.000 0.000 0.000
Ir 0.832 0.664 0.250
Ir 0.664 0.832 0.750
Ir 0.835 0.165 0.413
Ir 0.000 0.000 0.332
Ir 0.330 0.165 0.087
La 0.667 0.333 0.826
Ir 0.835 0.165 0.087
La 0.333 0.667 0.471
Ir 0.670 0.835 0.587
Ir 0.165 0.835 0.587
Ir 0.832 0.168 0.250
Ir 0.000 0.000 0.668
La 0.667 0.333 0.529
Ir 0.835 0.670 0.087
Ir 0.667 0.333 0.334
La 0.333 0.667 0.174
Ir 0.667 0.333 0.166
Ir 0.000 0.000 0.168
Ir 0.168 0.336 0.750
! **Crystal system**: hexagonal
! **Formation energy from the elements**: -0.5286 eV/atom

[4]
! La3Ir2, relaxed, DFT r²SCAN; values from VASP
&SYSTEM
  ibrav = 0, nat = 15, ntyp = 2
/
ATOMIC_SPECIES
La 138.91 La.upf
Ir 192.22 Ir.upf
CELL_PARAMETERS angstrom
0.891 0.706 7.693
3.874 -6.122 2.827
7.324 2.001 1.683
ATOMIC_POSITIONS crystal
La 0.605 0.848 0.327
Ir 0.047 0.411 0.828
Ir 0.589 0.172 0.953
La 0.197 0.197 0.197
La 0.803 0.803 0.803
La 0.673 0.395 0.152
La 0.395 0.152 0.673
La 0.848 0.327 0.605
Ir 0.828 0.047 0.411
La 0.000 0.000 0.000
Ir 0.411 0.828 0.047
Ir 0.953 0.589 0.172
Ir 0.172 0.953 0.589
La 0.327 0.605 0.848
La 0.152 0.673 0.395
! **Crystal system**: trigonal
! **Formation energy from the elements**: -0.7684 eV/atom

| no. | energy (eV/atom) |
| --- | --- |
| 1 | -23.034 |
| 2 | -35.957 |
| 3 | -47.862 |
| 4 | -39.559 |